# Listing
=====
No. 1
Cu2BiTeS2: calculated powder diffraction line list (Cu Kα (weighted mean of Kα1 and Kα2)), based on DFT lattice parameters and positions (GGA-PBE).
Peak positions follow from Bragg's law for the DFT cell and can differ from measured ones.

Principal peaks in the range 2θ = 5–70°, low angle first:
Position (°2θ)	Rel. int.
21.00	45
23.65	45
26.03	82
27.51	100
31.34	25
33.69	55
35.71	34
42.27	31
46.84	24
53.52	28

Atomic structure:
```
Cu2BiTeS2
1.0
5.4175 0.0000 0.0000
0.0000 6.8468 0.0000
-0.4875 0.0000 7.3612
Cu Bi Te S
4 2 2 4
direct
0.0586 0.2500 0.1673
0.2627 0.7500 0.1177
0.7373 0.2500 0.8823
0.9414 0.7500 0.8327
0.3572 0.7500 0.6366
0.6428 0.2500 0.3634
0.2395 0.2500 0.8612
0.7605 0.7500 0.1388
0.2540 0.0014 0.3289
0.2540 0.4986 0.3289
0.7460 0.5014 0.6711
0.7460 0.9986 0.6711
```



No. 2
ScCu4Bi: calculated powder diffraction line list (Cu Kα (weighted mean of Kα1 and Kα2)), based on DFT lattice parameters and positions (GGA-PBE).
Peak positions follow from Bragg's law for the DFT cell and can differ from measured ones.

Principal peaks in the range 2θ = 5–70°, low angle first:
Position (°2θ)	Rel. int.
21.06	21
24.37	23
34.73	44
40.97	100
42.88	27
54.77	7
56.31	10
62.25	16
66.50	31

Atomic structure:
```
ScCu4Bi
1.0
0.0000 3.6531 3.6531
3.6531 0.0000 3.6531
3.6531 3.6531 0.0000
Sc Cu Bi
1 4 1
direct
0.0000 0.0000 0.0000
0.3740 0.3740 0.3740
0.3740 0.3740 0.8780
0.3740 0.8780 0.3740
0.8780 0.3740 0.3740
0.7500 0.7500 0.7500
```



No. 3
CuBiSe4: calculated powder diffraction line list (Cu Kα (weighted mean of Kα1 and Kα2)), based on DFT lattice parameters and positions (GGA-PBE).
Peak positions follow from Bragg's law for the DFT cell and can differ from measured ones.

Principal peaks in the range 2θ = 5–70°, low angle first:
Position (°2θ)	Rel. int.
16.30	14
23.71	100
28.89	24
31.19	30
32.95	61
36.97	20
40.97	29
41.99	50
42.11	17
52.09	17

Atomic structure:
```
CuBiSe4
1.0
5.1873 0.0000 0.0000
0.0000 7.6897 0.0000
-0.0332 0.0000 7.6895
Cu Bi Se
2 2 8
direct
0.0000 0.2500 0.2500
0.0000 0.7500 0.7500
0.5000 0.2503 0.7500
0.5000 0.7497 0.2500
0.2062 0.0522 0.4477
0.2060 0.4469 0.0530
0.2060 0.5531 0.5530
0.2062 0.9478 0.9477
0.7938 0.0522 0.0523
0.7940 0.4469 0.4470
0.7940 0.5531 0.9470
0.7938 0.9478 0.5523
```



No. 4
CuBiSe: calculated powder diffraction line list (Cu Kα (weighted mean of Kα1 and Kα2)), based on DFT lattice parameters and positions (GGA-PBE).
Peak positions follow from Bragg's law for the DFT cell and can differ from measured ones.

Principal peaks in the range 2θ = 5–70°, low angle first:
Position (°2θ)	Rel. int.
9.50	24
19.06	46
31.14	100
34.06	17
36.24	20
40.41	31
43.96	17
44.15	17
44.72	18
61.24	18

Atomic structure:
```
CuBiSe
1.0
2.0513 -9.3110 0.0000
2.0513 9.3110 0.0000
0.0000 0.0000 4.1192
Cu Bi Se
2 2 2
direct
0.2223 0.7777 0.7500
0.7777 0.2223 0.2500
0.3627 0.6373 0.7500
0.6373 0.3627 0.2500
0.0957 0.9043 0.7500
0.9043 0.0957 0.2500
```

* * * * *

(1)
Computed PXRD pattern of Li5Fe5Si7O24 for a wavelength of 1.5418 Å, from a crystal structure in the Materials Project, relaxed with PBE+U.
Intensities are scaled so that the largest is 100.

Structural model:
```
Li5Fe5Si7O24
1.0
7.8530 0.0000 0.0000
-0.0743 7.9543 0.0000
-0.2491 -0.1878 9.7750
Li Fe Si O
5 5 7 24
Cartesian
0.0000 0.0000 0.0000
0.3161 4.0070 4.4688
2.2038 5.4484 2.3745
2.9122 1.2497 5.2220
4.4764 0.2002 2.7288
1.6032 6.3804 5.2759
3.0702 2.4869 2.1924
3.2077 -0.0265 9.4239
5.2650 2.7994 4.7114
7.2770 6.8232 2.6052
0.8443 0.8583 7.3620
1.2409 3.9846 7.7176
3.8395 4.8581 0.0202
4.8937 6.2001 4.8152
5.5464 0.4070 7.0333
7.0027 4.5278 0.1690
7.6844 2.2536 2.3853
-0.0800 4.2398 8.6563
0.6999 5.8773 3.6566
1.1698 4.9062 6.3607
1.1864 2.4468 7.1284
1.3291 2.6860 2.8722
1.4734 0.1627 6.0117
1.4351 0.2750 8.7620
2.6565 4.1644 8.5235
3.3364 4.1654 1.4237
3.3104 6.5441 4.5045
3.5165 6.4018 0.3619
3.6913 1.0593 1.2404
3.9178 1.9003 3.7708
4.6572 0.2536 8.3512
5.0173 1.6863 6.1877
5.1612 4.6233 5.0204
5.1768 4.3509 9.4726
=====

# Work order
Set down everything earlier on without altering anything.

# Outcome
No. 1
Cu2BiTeS2: calculated powder diffraction line list (Cu Kα (weighted mean of Kα1 and Kα2)), based on DFT lattice parameters and positions (GGA-PBE).
Peak positions follow from Bragg's law for the DFT cell and can differ from measured ones.

Principal peaks in the range 2θ = 5–70°, low angle first:
Position (°2θ)	Rel. int.
21.00	45
23.65	45
26.03	82
27.51	100
31.34	25
33.69	55
35.71	34
42.27	31
46.84	24
53.52	28

Atomic structure:
```
Cu2BiTeS2
1.0
5.4175 0.0000 0.0000
0.0000 6.8468 0.0000
-0.4875 0.0000 7.3612
Cu Bi Te S
4 2 2 4
direct
0.0586 0.2500 0.1673
0.2627 0.7500 0.1177
0.7373 0.2500 0.8823
0.9414 0.7500 0.8327
0.3572 0.7500 0.6366
0.6428 0.2500 0.3634
0.2395 0.2500 0.8612
0.7605 0.7500 0.1388
0.2540 0.0014 0.3289
0.2540 0.4986 0.3289
0.7460 0.5014 0.6711
0.7460 0.9986 0.6711
```



No. 2
ScCu4Bi: calculated powder diffraction line list (Cu Kα (weighted mean of Kα1 and Kα2)), based on DFT lattice parameters and positions (GGA-PBE).
Peak positions follow from Bragg's law for the DFT cell and can differ from measured ones.

Principal peaks in the range 2θ = 5–70°, low angle first:
Position (°2θ)	Rel. int.
21.06	21
24.37	23
34.73	44
40.97	100
42.88	27
54.77	7
56.31	10
62.25	16
66.50	31

Atomic structure:
```
ScCu4Bi
1.0
0.0000 3.6531 3.6531
3.6531 0.0000 3.6531
3.6531 3.6531 0.0000
Sc Cu Bi
1 4 1
direct
0.0000 0.0000 0.0000
0.3740 0.3740 0.3740
0.3740 0.3740 0.8780
0.3740 0.8780 0.3740
0.8780 0.3740 0.3740
0.7500 0.7500 0.7500
```



No. 3
CuBiSe4: calculated powder diffraction line list (Cu Kα (weighted mean of Kα1 and Kα2)), based on DFT lattice parameters and positions (GGA-PBE).
Peak positions follow from Bragg's law for the DFT cell and can differ from measured ones.

Principal peaks in the range 2θ = 5–70°, low angle first:
Position (°2θ)	Rel. int.
16.30	14
23.71	100
28.89	24
31.19	30
32.95	61
36.97	20
40.97	29
41.99	50
42.11	17
52.09	17

Atomic structure:
```
CuBiSe4
1.0
5.1873 0.0000 0.0000
0.0000 7.6897 0.0000
-0.0332 0.0000 7.6895
Cu Bi Se
2 2 8
direct
0.0000 0.2500 0.2500
0.0000 0.7500 0.7500
0.5000 0.2503 0.7500
0.5000 0.7497 0.2500
0.2062 0.0522 0.4477
0.2060 0.4469 0.0530
0.2060 0.5531 0.5530
0.2062 0.9478 0.9477
0.7938 0.0522 0.0523
0.7940 0.4469 0.4470
0.7940 0.5531 0.9470
0.7938 0.9478 0.5523
```



No. 4
CuBiSe: calculated powder diffraction line list (Cu Kα (weighted mean of Kα1 and Kα2)), based on DFT lattice parameters and positions (GGA-PBE).
Peak positions follow from Bragg's law for the DFT cell and can differ from measured ones.

Principal peaks in the range 2θ = 5–70°, low angle first:
Position (°2θ)	Rel. int.
9.50	24
19.06	46
31.14	100
34.06	17
36.24	20
40.41	31
43.96	17
44.15	17
44.72	18
61.24	18

Atomic structure:
```
CuBiSe
1.0
2.0513 -9.3110 0.0000
2.0513 9.3110 0.0000
0.0000 0.0000 4.1192
Cu Bi Se
2 2 2
direct
0.2223 0.7777 0.7500
0.7777 0.2223 0.2500
0.3627 0.6373 0.7500
0.6373 0.3627 0.2500
0.0957 0.9043 0.7500
0.9043 0.0957 0.2500
```

* * * * *

(1)
Computed PXRD pattern of Li5Fe5Si7O24 for a wavelength of 1.5418 Å, from a crystal structure in the Materials Project, relaxed with PBE+U.
Intensities are scaled so that the largest is 100.

Structural model:
```
Li5Fe5Si7O24
1.0
7.8530 0.0000 0.0000
-0.0743 7.9543 0.0000
-0.2491 -0.1878 9.7750
Li Fe Si O
5 5 7 24
Cartesian
0.0000 0.0000 0.0000
0.3161 4.0070 4.4688
2.2038 5.4484 2.3745
2.9122 1.2497 5.2220
4.4764 0.2002 2.7288
1.6032 6.3804 5.2759
3.0702 2.4869 2.1924
3.2077 -0.0265 9.4239
5.2650 2.7994 4.7114
7.2770 6.8232 2.6052
0.8443 0.8583 7.3620
1.2409 3.9846 7.7176
3.8395 4.8581 0.0202
4.8937 6.2001 4.8152
5.5464 0.4070 7.0333
7.0027 4.5278 0.1690
7.6844 2.2536 2.3853
-0.0800 4.2398 8.6563
0.6999 5.8773 3.6566
1.1698 4.9062 6.3607
1.1864 2.4468 7.1284
1.3291 2.6860 2.8722
1.4734 0.1627 6.0117
1.4351 0.2750 8.7620
2.6565 4.1644 8.5235
3.3364 4.1654 1.4237
3.3104 6.5441 4.5045
3.5165 6.4018 0.3619
3.6913 1.0593 1.2404
3.9178 1.9003 3.7708
4.6572 0.2536 8.3512
5.0173 1.6863 6.1877
5.1612 4.6233 5.0204
5.1768 4.3509 9.4726